Hi everyone. Before we start this week’s topic, check out Memphis Music Initiative’s latest hilarious and catchy music video, “I Hope Like Hell We Get This Grant.”
Crappy Funding Practices (CFP) has been building momentum. Join in the fun on LinkedIn! This is the movement where we call out foundations publicly and by name who engage in practices that waste nonprofits’ time and energy when there are so many societal issues to tackle. Making a grantee write a quarterly report for a $2500 grant? We’re calling you out. Telling grant applicants they can’t spend more than 10% on overhead? We’re calling you out. Making grant applicants use your budget format, which is in Word? We’re calling you out.
Someone pasted data records at this point
/*
Entry 1:
Below is CFNO5PtS2 as an isolated structure, with properties calculated with wB97M-V/def2-TZVPD.

Each line ends with the Löwdin spin population.
Cartesian coordinates (Å):
Pt  0.54901  -1.18174  1.36473  2.174
N  0.64584  0.53915  0.46312  0.179
S  1.75611  -0.09402  -0.74200  0.055
O  3.02788  0.68684  -0.56996  0.015
O  1.87787  -1.47740  -0.03041  0.257
S  -0.33011  1.67538  -0.05726  0.069
O  -1.71403  1.36053  0.44546  0.023
F  0.11605  2.99796  0.95857  0.004
O  -2.98390  -1.40747  -1.15920  0.012
C  -1.99176  -1.38019  -0.55310  0.034
O  -0.95295  -1.71905  -0.11996  0.178

Calculated values
Multiplicity   4
Net charge   -1
ΔE to the lowest compared entry with this formula, charge and spin   0.0 kJ/mol
E_HOMO (spin up / spin down)   -0.1062 / -0.1956 Eh



Entry 2:
Below is CFNOS2 as an isolated structure, with properties calculated with wB97M-V/def2-TZVPD.

Each line ends with the Löwdin charge.
Cartesian coordinates (Å):
C  1.19379  0.22827  -0.01168  -0.522
N  0.35342  0.86207  -0.58704  -0.193
O  1.69482  -0.65306  0.51822  0.138
F  -1.41314  1.03795  0.81394  -0.404
S  -0.68310  -1.62336  -0.12579  0.365
S  -1.14579  0.14812  -0.60766  0.616

Calculated values
Net charge   0
ΔE to the lowest compared entry with this formula, charge and spin   82.6 kJ/mol
E_HOMO   -0.3679 Eh



Entry 3:
Below is a 4-piece molecular cluster, CH10N2O4 overall, with properties calculated with wB97M-V/def2-TZVPD.

Each line ends with the Löwdin charge.
Cartesian coordinates (Å):
N  -0.63689  -1.13087  -1.58957  0.216
C  0.60586  -0.45268  -1.64473  -0.627
N  1.32671  -0.83271  -0.34488  0.259
O  1.30416  -0.75267  -2.64555  0.129
H  -0.70320  -1.63977  -0.73359  0.066
H  -0.82542  -1.67371  -2.41656  0.122
H  2.00212  -1.57322  -0.50498  0.111
H  1.74724  0.02365  0.01444  0.071
H  0.36313  1.77253  1.29539  0.006
H  -1.91294  1.91468  1.96246  -0.065
O  -1.21969  1.52155  1.50826  -0.268
H  1.69796  2.45798  1.75058  -0.008
H  0.36083  0.62603  -1.42662  0.213
O  1.38864  1.82971  1.14106  -0.119
H  -2.33797  -1.27443  1.45091  0.004
H  -1.49433  0.07677  1.25031  -0.026
O  -1.66621  -0.89285  0.93307  -0.085

Calculated values
Net charge   0
ΔE to the lowest compared entry with this formula, charge and spin   852.1 kJ/mol
E_HOMO   -0.3221 Eh



Entry 4:
Below is a 3-piece molecular cluster, CH10N3O2 overall, with properties calculated with wB97M-V/def2-TZVPD.

Each line ends with the Löwdin charge.
Cartesian coordinates (Å):
N  0.19360  -0.91278  1.73590  0.209
C  -0.98896  -0.53473  1.30163  -0.473
N  -1.07369  0.26203  0.22839  0.195
N  -2.10213  -0.99650  1.93039  0.187
H  0.99668  -0.44203  1.33449  0.132
H  0.36266  -1.39095  2.61143  0.142
H  -2.01231  0.59115  0.08682  0.128
H  -0.31716  0.09056  -0.46770  0.063
H  -1.94015  -1.72716  2.61502  0.126
H  -2.91677  -1.18766  1.37196  0.125
H  1.51838  0.46003  -1.59526  0.036
H  1.28657  -1.02797  -1.90287  0.085
O  0.93910  -0.30041  -1.37499  -0.053
H  2.08116  2.87818  -2.04164  0.068
*/
Declaring a grant application deadline but then saying you’re only going to review the first 100 submissions? We’re calling you out and likely also bestowing upon you a Ghost Orchid Award for Rare but Super Crappy Funding Practices, which will come with press releases and probably an award ceremony where your team will be invited to dress up in evening formal wear and explain how you came up with such a clueless and heinous decision.
We can only call out stuff we know of, so if you would like to anonymously report a crappy funding practice (including if you work at a foundation and want to report on your workplace), please fill out this form. And to balance things out, we’ll also be highlighting the wonderful foundations that engage in Awesome Funding Practices, so please nominate those too. And apologies, there is a long list of submissions, and the team is trying to call out one or three funders a week at this point, so that each has enough time in the shameful spotlight; thank you for your patience.
This week’s blog post, however, is aimed less at the funders who engage in ineffective and infuriating funding practices and more at the colleagues who read these call-outs and feel the need to defend the status quo. Over the past few days, as the CFP team begins its work in earnest, we called out two foundations, which you can see on the CFP LinkedIn page. While many colleagues responded with righteous anger at the audacity of these funders, there are a few who step in and spout the same boring, predictable responses that’s been used for decades to defend funders’ and donors’ shenanigans.
_What comes next are calculated molecules, not part of the piece_
┌──
Entry from the OMol25 dataset: the ion C5H18N4Si with charge +2 at a distorted geometry (the ωB97M-V functional and the def2-TZVPD basis).

Last column: natural (NBO) charge in e.
Positions of all 28 atoms, in Å:
C (1.068, 1.009, 2.493)  -0.41
N (0.490, 1.663, 1.310)  -0.57
C (0.276, 1.058, 0.127)  0.08
N (1.708, 0.831, -0.787)  -0.56
C (1.489, 0.384, -2.187)  -0.49
C (-0.381, -0.314, 0.070)  0.54
N (-1.694, -0.609, -0.575)  -0.89
Si (-3.076, 0.470, -1.118)  0.97
N (0.180, -1.367, 0.728)  -0.49
C (-0.335, -2.653, 0.812)  -0.45
H (0.308, 0.163, 2.659)  0.20
H (1.991, 0.617, 2.117)  0.18
H (1.141, 1.758, 3.295)  0.28
H (0.256, 2.588, 1.344)  0.42
H (-0.286, 1.815, -0.502)  0.28
H (2.227, 0.039, -0.408)  0.43
H (2.210, 1.676, -0.681)  0.44
H (1.921, -0.663, -2.345)  0.25
H (0.483, 0.443, -2.587)  0.25
H (2.202, 0.964, -2.889)  0.28
H (-1.759, -1.543, -0.685)  0.40
H (-3.454, 1.679, -0.171)  -0.08
H (-4.169, -0.511, -1.381)  -0.09
H (-2.396, 0.865, -2.456)  -0.14
H (1.054, -1.203, 1.292)  0.44
H (-1.013, -2.974, 0.055)  0.23
H (-0.850, -2.813, 1.696)  0.25
H (0.408, -3.371, 0.773)  0.26

Results
- charge = +2
- SMILES = CN[C@@H]([NH2+]C)/C(N[SiH3])=[NH+]/C
- highest occupied orbital energy (hartree) = -0.64530
- Kohn-Sham gap (eV) = 9.36
- ΔE to the lowest compared entry with this formula, charge and spin (kJ/mol) = 57.9

* * * * *

Record 1
The following is a quantum chemistry calculation of a structure of composition C2H5N3O3 at a distorted geometry, from OMol25.

- Gap between HOMO and LUMO: 8.2 eV
- Net charge: 0
- Energy above the lowest of the compared OMol25 structures with the same formula, charge and spin: 861.5 kJ/mol
- E_tot: -468.87258 a.u.
- Highest occupied orbital energy: -8.082 eV
- E_LUMO: 0.1 eV

Structure (XYZ):
```
13
Properties=species:S:1:pos:R:3:forces:R:3
C -1.3518 -0.4052 -0.1905 -8.015 -0.104 1.621
C 2.0035 -0.8941 0.2232 0.460 -0.880 1.006
H -4.1267 0.9269 0.2908 0.676 -1.285 -0.321
H -1.6737 -1.6518 -0.3297 1.109 3.979 0.441
H 0.0897 0.8655 -0.4245 0.152 -1.655 1.242
H 2.0740 -1.8721 0.8831 1.328 2.136 -1.768
H 3.1448 1.8898 -0.4146 -5.428 -1.904 1.369
N -2.3333 0.5853 0.0530 5.566 -3.617 -1.117
N -0.0730 -0.0691 0.0939 -1.199 4.027 -0.812
N 2.8037 0.1529 0.2137 -2.775 -3.836 1.694
O -3.6050 0.0971 0.1263 -1.353 0.587 -0.040
O 0.7399 -1.0332 -0.3797 3.179 -0.607 -0.510
O 2.0900 1.3053 -0.0874 6.302 3.159 -2.807
```
Forces are in eV/Å.

Partial atomic charges computed with the natural (NBO) method, in multiples of e:
1. C 0.156
2. C 0.305
3. H 0.478
4. H 0.196
5. H 0.396
6. H 0.210
7. H 0.497
8. N -0.212
9. N -0.348
10. N -0.185
11. O -0.552
12. O -0.387
13. O -0.554

---

Record 2
The following is a quantum chemistry calculation of a cluster of 7 separate species, C46H47N7O3S3 in total at a distorted geometry, from OMol25.

- Gap between HOMO and LUMO: 8.0 eV
- Net charge: 0
- E_tot: -3584.55123 a.u.
- Highest occupied orbital energy: -7.599 eV
- E_LUMO: 0.4 eV

Structure (XYZ):
```
106
└──
So, to save us all time, I’m going to list some of the common ones I’ve gotten over the years, below; most I’ve paraphrased, but some are direct quotes. That way, when we encounter these comments in the future, we can just copy and paste our replies, or just paste in the URL to this blog post and type “See number 4” or “See numbers 3, 6, and 8” or whatever:
1. ”It’s not my money. It’s not your money. It’s the funder/donor’s money! So they get to do what they want with it.” If you’re spouting this, you need to have a better analysis of equity and wealth. A lot of wealth, at least in the US, comes from some combination of inequitable means, including slavery, stolen Indigenous land, worker exploitation, environmental degradation, and tax avoidance. Sometimes, it may be indirectly, like someone inherited money from a relative who worked for a company that exploited workers and retired through stock options. The point is, if someone’s wealth is accumulated through inequitable means, then it’s NOT their money. Please read The Whiteness of Wealth and other works on this topic before you continue spewing this nonsense.
2. “What, you expect funders to give out money without doing their due diligence like a bunch of wild animals?!” Due diligence is great, but it can be done without all the time-wasting nonsense that many funders inflict upon nonprofits. For instance, as I’ve said many times now, no funder needs their own unique snowflake grant proposal. Funders can literally just accept grant proposal packages that nonprofits have already prepared for other funders. It’s all the same information. There, the funders fulfilled their due diligence, but it’s just not in a time-consuming snowflake format catered to their whims. No funder needs a snowflake financial or programmatic reports either; they can just accept annual reports and general financial reports. Stop using “due diligence” as an excuse to perpetuate annoying and harmful practices.
**Misplaced quantum chemistry results:**
- - -
15
Properties=species:S:1:pos:R:3 method="wB97M-V/def2-TZVPD" multiplicity=1 total_charge=0 relative_energy_ev=4.1469 mol_weight_g_mol=146.642 max_force_ev_per_a=5.66 total_energy_ev=-29688.339 gap_ha=0.29169
C 2.75 0.75 0.22
C 1.48 1.09 0.40
C 0.52 0.36 -0.47
S 0.89 -0.93 -1.25
C -0.90 0.86 -0.38
Cl -0.90 2.54 -0.76
C -1.82 -0.05 0.12
C -1.79 -1.59 0.18
H 3.89 1.21 0.68
H 3.07 -0.22 -0.25
H 1.04 1.79 0.94
H -2.89 0.44 0.18
H -1.54 -2.00 -1.01
H -0.96 -2.04 0.88
H -2.85 -2.21 0.50
- - -
**So much for the quantum chemistry results:**
3. ”But what you’re complaining about is standard practice! Most or all foundations require this! What’s the issue?” The fact that a crappy practice has become so common that it is the standard IS the issue! “That’s the way it’s always done” has been used throughout history to keep ineffective and inequitable systems in place, such as health insurance being tied to employment in the US. (And also very annoying ones such as the embarrassing gaps in the toilet stalls in public restrooms in the US). Sure, many funders over the years have engaged in so many insipid practices that these practices are taken as standard, or even “best,” practices. But that does not make them OK. We need to stop thinking something is OK because it’s common.